[Input]
- - -
Record 1
TcHgTe2N: relaxed, GGA-PBE.

extended XYZ file:
```
5
Lattice="-5.2267 1.0248 -1.3911 -1.6784 -4.0632 3.3132 -0.2771 2.4134 2.8192" Properties=species:S:1:pos:R:3 pbc="T T T"
N -0.1386 1.2067 1.4096
Te -0.8392 -2.0316 1.6566
Te -2.6134 0.5124 -0.6955
Hg -3.5912 -0.3125 2.3707
Tc 0.0000 0.0000 0.0000
```

Computed properties:
Total magnetization   0.00 Bohr magnetons per cell
Formation energy (no corrections)   1.3 eV per formula unit
ρ   8.360 g/cm³

=====

Record 2
K2Zr3Br9: relaxed, GGA-PBE.

extended XYZ file:
```
28
Lattice="0.0740 9.6025 -4.1915 -4.6834 -5.7490 -7.6408 -5.2525 1.5746 9.1269" Properties=species:S:1:pos:R:3 pbc="T T T"
K -3.8045 -1.1860 -2.8517
K -5.8728 4.2391 -5.2914
K -6.0574 6.6141 0.1462
K -3.9890 1.1889 2.5859
Zr -1.3154 2.9777 -1.3452
Zr -8.5464 2.4504 -1.3603
Zr -1.3827 6.3196 -0.9502
Zr -8.5849 0.4693 1.3606
Zr -8.4792 -0.8916 -1.7552
Zr -1.2769 4.9587 -4.0661
Br -5.0959 4.8365 3.5069
Br -6.9859 0.2030 3.6862
Br -6.7574 -2.7373 -3.0458
Br -2.8760 5.2250 -6.3917
Br -6.9779 4.5696 -2.2327
Br -2.8839 0.8585 -0.4728
Br -2.9893 2.9371 -3.4863
Br -6.7528 0.9504 -2.7463
Br -6.8725 2.4909 0.7808
Br -3.1090 4.4777 0.0408
Br -6.7710 -1.2560 0.3188
Br -4.7640 2.8140 -9.3112
Br -5.2151 8.6188 3.9791
Br -5.0978 2.6140 6.6057
Br -4.6467 -3.1908 -6.6845
Br -4.7660 0.5915 -6.2124
Br -3.0909 6.6840 -3.0243
Br -3.1044 8.1653 0.3403
```

Computed properties:
Total magnetization   4.00 Bohr magnetons per cell
Formation energy (no corrections)   -19.7 eV per formula unit
ρ   3.743 g/cm³

=====

Record 3
TlGaAs3: relaxed, GGA-PBE.

extended XYZ file:
```
5
Lattice="5.3873 0.0000 0.0000 0.0000 5.3873 0.0000 0.0000 0.0000 5.3873" Properties=species:S:1:pos:R:3 pbc="T T T"
Tl 0.0000 0.0000 0.0000
As 0.0000 2.6937 0.0000
As 0.0000 0.0000 2.6937
As 2.6937 0.0000 0.0000
Ga 2.6937 2.6937 2.6937
```

Computed properties:
Total magnetization   0.00 Bohr magnetons per cell
ΔH_f (0 K)   1.04 eV per atom
ρ   5.298 g/cm³

=====

Record 4
HfGa3Ge: relaxed, GGA-PBE.

extended XYZ file:
```
5
Lattice="5.1719 0.0000 0.0000 0.0000 5.1719 0.0000 0.0000 0.0000 5.1719" Properties=species:S:1:pos:R:3 pbc="T T T"
Ge 2.5859 2.5859 2.5859
Hf 0.0000 0.0000 0.0000
Ga 0.0000 2.5859 0.0000
Ga 0.0000 0.0000 2.5859
Ga 2.5859 0.0000 0.0000
```

Computed properties:
Total magnetization   0.00 Bohr magnetons per cell
ΔH_f (0 K)   0.72 eV per atom
ρ   5.525 g/cm³

=====

Record 5
RbTl2BiAu: relaxed, GGA-PBE.

extended XYZ file:
```
5
Lattice="5.6840 0.0000 0.0000 0.0000 5.6840 0.0000 0.0000 0.0000 5.8984" Properties=species:S:1:pos:R:3 pbc="T T T"
Tl 0.0000 2.8420 0.0000
Tl 2.8420 0.0000 0.0000
Au 0.0000 0.0000 0.0000
Bi 0.0000 0.0000 2.9492
Rb 2.8420 2.8420 2.9492
```

Computed properties:
Total magnetization   0.00 Bohr magnetons per cell
ΔH_f (0 K)   0.01 eV per atom
ρ   7.844 g/cm³

=====

Record 6
Na2ZnSe2: relaxed, GGA-PBE.

extended XYZ file:
```
10
Lattice="7.4322 0.0131 -0.0110 1.8058 7.2095 0.0110 -4.3938 -3.8994 4.5527" Properties=species:S:1:pos:R:3 pbc="T T T"
Na 2.3188 -0.3351 1.5580
Na 2.5255 3.6583 2.9948
Na -1.5282 -0.6761 3.8398
Na 6.3725 3.9993 0.7129
Zn -0.6470 0.8275 1.1409
Zn -1.9409 2.4826 3.4228
Se 0.4189 1.6484 3.2580
Se 4.4254 1.6748 1.2947
Se 1.3991 5.5456 0.9872
Se 3.4452 -2.2224 3.5656
```

Computed properties:
Total magnetization   0.00 Bohr magnetons per cell
Formation energy (no corrections)   -4.7 eV per formula unit
ρ   3.667 g/cm³

=====

Record 7
Mg2BeOs: relaxed, GGA-PBE.

extended XYZ file:
```
4
Lattice="-0.0921 2.5660 -3.3054 -2.7714 -0.0526 0.0364 -1.3168 4.1362 3.2476" Properties=species:S:1:pos:R:3 pbc="T T T"
Be -2.8196 4.2370 0.7177
Mg -3.9132 3.9668 3.1884
Mg -1.1576 2.4549 -0.7120
Os -2.4220 2.1164 1.7104
```

Computed properties:
Total magnetization   0.00 Bohr magnetons per cell
ΔH_f (0 K)   0.19 eV per atom
ρ   6.734 g/cm³

=====

Record 8
LiFe2Ni5: relaxed, GGA-PBE.

extended XYZ file:
```
8
- - -

[Exercise]
Return the entries further above from the line with "-5.2151 8.6188" to the end verbatim, please.

[Solution]
Br -5.2151 8.6188 3.9791
Br -5.0978 2.6140 6.6057
Br -4.6467 -3.1908 -6.6845
Br -4.7660 0.5915 -6.2124
Br -3.0909 6.6840 -3.0243
Br -3.1044 8.1653 0.3403
```

Computed properties:
Total magnetization   4.00 Bohr magnetons per cell
Formation energy (no corrections)   -19.7 eV per formula unit
ρ   3.743 g/cm³

=====

Record 3
TlGaAs3: relaxed, GGA-PBE.

extended XYZ file:
```
5
Lattice="5.3873 0.0000 0.0000 0.0000 5.3873 0.0000 0.0000 0.0000 5.3873" Properties=species:S:1:pos:R:3 pbc="T T T"
Tl 0.0000 0.0000 0.0000
As 0.0000 2.6937 0.0000
As 0.0000 0.0000 2.6937
As 2.6937 0.0000 0.0000
Ga 2.6937 2.6937 2.6937
```

Computed properties:
Total magnetization   0.00 Bohr magnetons per cell
ΔH_f (0 K)   1.04 eV per atom
ρ   5.298 g/cm³

=====

Record 4
HfGa3Ge: relaxed, GGA-PBE.

extended XYZ file:
```
5
Lattice="5.1719 0.0000 0.0000 0.0000 5.1719 0.0000 0.0000 0.0000 5.1719" Properties=species:S:1:pos:R:3 pbc="T T T"
Ge 2.5859 2.5859 2.5859
Hf 0.0000 0.0000 0.0000
Ga 0.0000 2.5859 0.0000
Ga 0.0000 0.0000 2.5859
Ga 2.5859 0.0000 0.0000
```

Computed properties:
Total magnetization   0.00 Bohr magnetons per cell
ΔH_f (0 K)   0.72 eV per atom
ρ   5.525 g/cm³

=====

Record 5
RbTl2BiAu: relaxed, GGA-PBE.

extended XYZ file:
```
5
Lattice="5.6840 0.0000 0.0000 0.0000 5.6840 0.0000 0.0000 0.0000 5.8984" Properties=species:S:1:pos:R:3 pbc="T T T"
Tl 0.0000 2.8420 0.0000
Tl 2.8420 0.0000 0.0000
Au 0.0000 0.0000 0.0000
Bi 0.0000 0.0000 2.9492
Rb 2.8420 2.8420 2.9492
```

Computed properties:
Total magnetization   0.00 Bohr magnetons per cell
ΔH_f (0 K)   0.01 eV per atom
ρ   7.844 g/cm³

=====

Record 6
Na2ZnSe2: relaxed, GGA-PBE.

extended XYZ file:
```
10
Lattice="7.4322 0.0131 -0.0110 1.8058 7.2095 0.0110 -4.3938 -3.8994 4.5527" Properties=species:S:1:pos:R:3 pbc="T T T"
Na 2.3188 -0.3351 1.5580
Na 2.5255 3.6583 2.9948
Na -1.5282 -0.6761 3.8398
Na 6.3725 3.9993 0.7129
Zn -0.6470 0.8275 1.1409
Zn -1.9409 2.4826 3.4228
Se 0.4189 1.6484 3.2580
Se 4.4254 1.6748 1.2947
Se 1.3991 5.5456 0.9872
Se 3.4452 -2.2224 3.5656
```

Computed properties:
Total magnetization   0.00 Bohr magnetons per cell
Formation energy (no corrections)   -4.7 eV per formula unit
ρ   3.667 g/cm³

=====

Record 7
Mg2BeOs: relaxed, GGA-PBE.

extended XYZ file:
```
4
Lattice="-0.0921 2.5660 -3.3054 -2.7714 -0.0526 0.0364 -1.3168 4.1362 3.2476" Properties=species:S:1:pos:R:3 pbc="T T T"
Be -2.8196 4.2370 0.7177
Mg -3.9132 3.9668 3.1884
Mg -1.1576 2.4549 -0.7120
Os -2.4220 2.1164 1.7104
```

Computed properties:
Total magnetization   0.00 Bohr magnetons per cell
ΔH_f (0 K)   0.19 eV per atom
ρ   6.734 g/cm³

=====

Record 8
LiFe2Ni5: relaxed, GGA-PBE.

extended XYZ file:
```
8